=====
Molecular formula: C26H27ClFN3O3
Method: DFT, ωB97M-V/def2-TZVPD

Structure (XYZ):
```
61
Properties=species:S:1:pos:R:3
C -6.8878 -1.1819 1.9787
N -7.0355 0.2118 1.6418
C -8.3725 0.7315 1.8238
C -6.0700 1.0360 1.1950
O -6.2854 2.2078 0.9141
C -4.6589 0.4626 1.0484
O -4.1490 -0.2194 1.9214
C -3.9810 0.8286 -0.1746
C -4.3801 1.7310 -1.1429
N -3.4686 1.7992 -2.1345
C -3.5406 2.6442 -3.2922
C -2.4444 0.9266 -1.8584
C -1.3071 0.6231 -2.5946
C -0.4665 -0.3386 -2.0702
Cl 0.9480 -0.7818 -2.9608
C -0.7209 -0.9815 -0.8510
C 0.1420 -2.1348 -0.4124
O -0.1694 -3.2736 -0.7080
N 1.2202 -1.8372 0.3380
C 1.7018 -0.5123 0.6414
C 3.0591 -0.2747 -0.0280
C 4.0621 -1.3578 0.3750
C 5.4020 -1.1804 -0.3592
C 6.1343 0.0491 0.0922
C 6.0682 1.2320 -0.6337
C 6.7316 2.3684 -0.2067
C 7.4663 2.3080 0.9622
F 8.1223 3.4112 1.3846
C 7.5519 1.1477 1.7091
C 6.8806 0.0236 1.2653
C 3.4674 -2.7333 0.0671
C 2.1150 -2.8939 0.7564
C -1.8551 -0.6671 -0.1251
C -2.7242 0.2956 -0.6253
H -7.6052 -1.7733 1.4033
H -7.0913 -1.3286 3.0427
H -5.8842 -1.5364 1.7710
H -9.0790 0.1825 1.1972
H -8.6746 0.6339 2.8684
H -8.3731 1.7823 1.5422
H -5.2589 2.3465 -1.1462
H -4.4580 3.2277 -3.2561
H -2.6873 3.3255 -3.3196
H -3.5360 2.0422 -4.2038
H -1.0855 1.0964 -3.5377
H 0.9744 0.2282 0.3054
H 1.8094 -0.4239 1.7298
H 3.4333 0.7101 0.2555
H 2.9258 -0.2926 -1.1110
H 4.2433 -1.2851 1.4539
H 5.2130 -1.1298 -1.4329
H 6.0212 -2.0588 -0.1647
H 5.4961 1.2650 -1.5491
H 6.6889 3.2891 -0.7670
H 8.1387 1.1337 2.6141
H 6.9443 -0.8916 1.8355
H 4.1417 -3.5231 0.4022
H 3.3298 -2.8369 -1.0112
H 1.6502 -3.8446 0.4899
H 2.2365 -2.8429 1.8447
H -2.0692 -1.1651 0.8068
```

The charge is 0. The SMILES is CN(C)C(=O)C(=O)c1cn(C)c2cc(Cl)c(C(=O)N3CCC(Cc4ccc(F)cc4)CC3)cc12. For the HOMO energy, the calculation gives -8.40 eV. The energy above the lowest of the compared OMol25 structures with the same formula, charge and spin comes out at 0.00 kJ/mol.

---

Molecular formula: C18H39MgN7O3S
Method: DFT, ωB97M-V/def2-TZVPD

Structure (XYZ):
```
69
Properties=species:S:1:pos:R:3
Mg -0.3047 -0.2760 1.0565
N -4.1521 -0.4358 2.3628
C -2.8377 -0.5458 2.1572
O -2.3635 -0.4258 1.0056
C -1.9673 -0.8014 3.3645
C -0.5626 -1.2357 2.9449
H -4.7776 -0.2537 1.5958
H -4.5471 -0.5557 3.2789
H -2.4845 -1.5268 4.0042
H -1.9330 0.1397 3.9244
H -0.5634 -2.3224 2.7934
H 0.1419 -1.0482 3.7576
N -0.4854 -0.6726 -5.1403
C -0.3278 0.5663 -4.2813
C -1.2119 0.4346 -3.0545
C -1.2106 1.7564 -2.2557
N -1.4319 1.4320 -0.8428
C 0.1017 2.5394 -2.4924
C 1.3400 1.6613 -2.6939
N 1.6012 0.8568 -1.5011
C 1.1475 0.7428 -3.9284
H -1.4641 -0.8147 -5.3939
H -0.1648 -1.4907 -4.6195
H 0.0626 -0.6020 -5.9990
H -0.6718 1.4004 -4.8941
H -0.8123 -0.3294 -2.3855
H -2.2331 0.1638 -3.3387
H -2.0242 2.3873 -2.6309
H -2.3827 1.1104 -0.6951
H -1.3138 2.2661 -0.2738
H 0.2719 3.2168 -1.6518
H -0.0158 3.1642 -3.3795
H 2.1872 2.3189 -2.9099
H 1.6042 1.4819 -0.6988
H 2.5346 0.4604 -1.5400
H 1.5971 -0.2273 -3.6906
H 1.6800 1.1646 -4.7827
C 0.2329 5.2253 3.0156
N 0.6070 4.0072 3.6957
C 0.8679 3.9914 5.1349
C 1.2121 2.5198 5.4142
N 0.8843 1.8812 4.1392
C 0.6353 2.7817 3.1740
S 0.3856 2.4018 1.5526
H 0.9812 5.9967 3.1968
H -0.7345 5.5851 3.3726
H 0.1703 5.0287 1.9500
H -0.0180 4.3227 5.6803
H 1.6885 4.6661 5.3772
H 0.6125 2.1007 6.2194
H 2.2657 2.3881 5.6603
H 1.1857 0.9495 3.9112
O 2.6434 -3.1750 0.6350
C 1.4571 -2.7687 0.3052
O 1.1139 -1.6064 0.4458
C 0.5241 -3.8509 -0.2654
N 1.2747 -5.0933 -0.4470
C 1.2989 -5.4512 -1.8786
C 1.0093 -4.1349 -2.6007
C 0.0192 -3.4374 -1.6582
H -0.3003 -3.9406 0.4460
H 0.9377 -5.8569 0.1223
H 2.6789 -4.1214 0.3460
H 0.5239 -6.1823 -2.1229
H 2.2660 -5.8736 -2.1452
H 0.5986 -4.3333 -3.5919
H 1.9252 -3.5490 -2.7110
H -0.9903 -3.8221 -1.8109
H 0.0167 -2.3493 -1.7343
```

The charge is +2. For the HOMO energy, the calculation gives -12.21 eV. The energy above the lowest of the compared OMol25 structures with the same formula, charge and spin comes out at 28.01 kJ/mol.

---

Molecular formula: C28H25MoN3O7S2
Method: DFT, ωB97M-V/def2-TZVPD
=====

Please find the line earlier on that holds "-0.4665 -0.3386", then set down that line and all lines after it there.

C -0.4665 -0.3386 -2.0702
Cl 0.9480 -0.7818 -2.9608
C -0.7209 -0.9815 -0.8510
C 0.1420 -2.1348 -0.4124
O -0.1694 -3.2736 -0.7080
N 1.2202 -1.8372 0.3380
C 1.7018 -0.5123 0.6414
C 3.0591 -0.2747 -0.0280
C 4.0621 -1.3578 0.3750
C 5.4020 -1.1804 -0.3592
C 6.1343 0.0491 0.0922
C 6.0682 1.2320 -0.6337
C 6.7316 2.3684 -0.2067
C 7.4663 2.3080 0.9622
F 8.1223 3.4112 1.3846
C 7.5519 1.1477 1.7091
C 6.8806 0.0236 1.2653
C 3.4674 -2.7333 0.0671
C 2.1150 -2.8939 0.7564
C -1.8551 -0.6671 -0.1251
C -2.7242 0.2956 -0.6253
H -7.6052 -1.7733 1.4033
H -7.0913 -1.3286 3.0427
H -5.8842 -1.5364 1.7710
H -9.0790 0.1825 1.1972
H -8.6746 0.6339 2.8684
H -8.3731 1.7823 1.5422
H -5.2589 2.3465 -1.1462
H -4.4580 3.2277 -3.2561
H -2.6873 3.3255 -3.3196
H -3.5360 2.0422 -4.2038
H -1.0855 1.0964 -3.5377
H 0.9744 0.2282 0.3054
H 1.8094 -0.4239 1.7298
H 3.4333 0.7101 0.2555
H 2.9258 -0.2926 -1.1110
H 4.2433 -1.2851 1.4539
H 5.2130 -1.1298 -1.4329
H 6.0212 -2.0588 -0.1647
H 5.4961 1.2650 -1.5491
H 6.6889 3.2891 -0.7670
H 8.1387 1.1337 2.6141
H 6.9443 -0.8916 1.8355
H 4.1417 -3.5231 0.4022
H 3.3298 -2.8369 -1.0112
H 1.6502 -3.8446 0.4899
H 2.2365 -2.8429 1.8447
H -2.0692 -1.1651 0.8068
```

The charge is 0. The SMILES is CN(C)C(=O)C(=O)c1cn(C)c2cc(Cl)c(C(=O)N3CCC(Cc4ccc(F)cc4)CC3)cc12. For the HOMO energy, the calculation gives -8.40 eV. The energy above the lowest of the compared OMol25 structures with the same formula, charge and spin comes out at 0.00 kJ/mol.

---

Molecular formula: C18H39MgN7O3S
Method: DFT, ωB97M-V/def2-TZVPD

Structure (XYZ):
```
69
Properties=species:S:1:pos:R:3
Mg -0.3047 -0.2760 1.0565
N -4.1521 -0.4358 2.3628
C -2.8377 -0.5458 2.1572
O -2.3635 -0.4258 1.0056
C -1.9673 -0.8014 3.3645
C -0.5626 -1.2357 2.9449
H -4.7776 -0.2537 1.5958
H -4.5471 -0.5557 3.2789
H -2.4845 -1.5268 4.0042
H -1.9330 0.1397 3.9244
H -0.5634 -2.3224 2.7934
H 0.1419 -1.0482 3.7576
N -0.4854 -0.6726 -5.1403
C -0.3278 0.5663 -4.2813
C -1.2119 0.4346 -3.0545
C -1.2106 1.7564 -2.2557
N -1.4319 1.4320 -0.8428
C 0.1017 2.5394 -2.4924
C 1.3400 1.6613 -2.6939
N 1.6012 0.8568 -1.5011
C 1.1475 0.7428 -3.9284
H -1.4641 -0.8147 -5.3939
H -0.1648 -1.4907 -4.6195
H 0.0626 -0.6020 -5.9990
H -0.6718 1.4004 -4.8941
H -0.8123 -0.3294 -2.3855
H -2.2331 0.1638 -3.3387
H -2.0242 2.3873 -2.6309
H -2.3827 1.1104 -0.6951
H -1.3138 2.2661 -0.2738
H 0.2719 3.2168 -1.6518
H -0.0158 3.1642 -3.3795
H 2.1872 2.3189 -2.9099
H 1.6042 1.4819 -0.6988
H 2.5346 0.4604 -1.5400
H 1.5971 -0.2273 -3.6906
H 1.6800 1.1646 -4.7827
C 0.2329 5.2253 3.0156
N 0.6070 4.0072 3.6957
C 0.8679 3.9914 5.1349
C 1.2121 2.5198 5.4142
N 0.8843 1.8812 4.1392
C 0.6353 2.7817 3.1740
S 0.3856 2.4018 1.5526
H 0.9812 5.9967 3.1968
H -0.7345 5.5851 3.3726
H 0.1703 5.0287 1.9500
H -0.0180 4.3227 5.6803
H 1.6885 4.6661 5.3772
H 0.6125 2.1007 6.2194
H 2.2657 2.3881 5.6603
H 1.1857 0.9495 3.9112
O 2.6434 -3.1750 0.6350
C 1.4571 -2.7687 0.3052
O 1.1139 -1.6064 0.4458
C 0.5241 -3.8509 -0.2654
N 1.2747 -5.0933 -0.4470
C 1.2989 -5.4512 -1.8786
C 1.0093 -4.1349 -2.6007
C 0.0192 -3.4374 -1.6582
H -0.3003 -3.9406 0.4460
H 0.9377 -5.8569 0.1223
H 2.6789 -4.1214 0.3460
H 0.5239 -6.1823 -2.1229
H 2.2660 -5.8736 -2.1452
H 0.5986 -4.3333 -3.5919
H 1.9252 -3.5490 -2.7110
H -0.9903 -3.8221 -1.8109
H 0.0167 -2.3493 -1.7343
```

The charge is +2. For the HOMO energy, the calculation gives -12.21 eV. The energy above the lowest of the compared OMol25 structures with the same formula, charge and spin comes out at 28.01 kJ/mol.

---

Molecular formula: C28H25MoN3O7S2
Method: DFT, ωB97M-V/def2-TZVPD